VersionOne IssueSync for JIRA


VersionOne IssueSync for JIRA (formerly known as the VersionOne Integration for JIRA) creates Stories and Defects in VersionOne based on Issues orginating in JIRA. Using this integration, your organization can manage and triage issues reported by customers and promote them to VersionOne for the product team to address.



For agile development teams using JIRA and VersionOne, and who need to integrate their issue management with agile project management, VersionOne IssueSync for JIRA is an integration that transforms JIRA Issues into Workitems (Defects or Stories) in VersionOne. Using this integration, an organization can manage and triage issues reported by customers and promote them to VersionOne for prioritization, estimation, planning, and implementation. When the work is completed in VersionOne, the integration updates JIRA to reflect the resolved status.

Once the integration is installed and configured, JIRA users can specify which issues require engineering attention and those issues will automatically appear as Workitems in VersionOne. Additionally, when the Workitems are closed in VersionOne, the integration updates the JIRA Issue to reflect this change. JIRA issues that require engineering attention are identified using JIRA filters.

The following sequence diagram illustrates how the integration interacts with JIRA and VersionOne.

title VersionOne IssueSync for JIRA

participant JIRA User
participant JIRA
participant Integration
participant VersionOne
participant VersionOne User

### Attached: records of crystals
-- begin --
The following is a theoretical powder XRD pattern of SmYAlTl. It was derived from a PBE-relaxed structure, using Cu Ka.
No peak broadening, texture or thermal motion is included.

Principal peaks in the range 10 to 90 degrees two-theta, by intensity:
d (Å)	I_rel	(hkl)
2.669	100	1 0 2
2.606	48	1 1 0
1.516	36	2 1 2
3.328	35	1 0 1
7.743	34	0 0 1
1.554	18	1 1 4
1.843	17	2 0 0
1.335	11	2 0 4
1.834	10	1 1 3
2.470	10	1 1 1

Lattice parameters (Å, degrees): 3.685 3.685 7.743 90.00 90.00 90.00
Space group P4mm (No. 99)
One atom of each set of equivalent atoms:
Sm1 0.000 0.000 0.000 [1 per cell]
Y1 0.000 0.000 0.528 [1 per cell]
Al1 0.500 0.500 0.758 [1 per cell]
Tl1 0.500 0.500 0.271 [1 per cell]
-- stop --

alt Create workitem flow
JIRA User->JIRA: Creates issue
JIRA->Integration: Issues for VersionOne?
Integration->VersionOne: Create workitem
Integration->JIRA: Set status to "IN PROGRESS"

alt Close workitem flow
VersionOne User->VersionOne: Closes workitem
VersionOne->Integration: Closed workitems?
Integration->JIRA: Set status to "RESOLVED"

System Requirements


The latest version of the integration is available in the VersionOne Application Catalog.


If you already have the integration running in your environment, you should backup the existing integration before installing the current version.


These installation instructions assume that JIRA and VersionOne are already installed and working properly.

  1. Determine Install Location

    The integration can be installed on any Windows system with HTTP access to both VersionOne and JIRA. Exact placement should be determined by your internal software management requirements. The integration system must meet the System Requirements stated above.

  2. Extract Files

    Download the integration using the link above and extract it into a folder of your choice.

  3. Configure

    Configuration for the Integration is a 3 step process.

### Inserted here: calculated crystals
<<<
This entry pairs a crystal structure of Nd2SmS4 with its calculated X-ray diffraction stick pattern. Radiation: a wavelength of 1.5418 Å. Structure: a PBE-relaxed structure.
No peak broadening, texture or thermal motion is included.

Top 8 peaks for 10 to 90 degrees two-theta, most intense first:
(2 1 1), 2θ 25.55, I = 100; (3 1 0), 2θ 33.23, I = 87; (1 0 3), 2θ 32.89, I = 48; (1 1 2), 2θ 25.41, I = 45; (3 1 2), 2θ 39.43, I = 28; (2 1 3), 2θ 39.27, I = 28; (3 2 1), 2θ 39.53, I = 27; (6 1 1), 2θ 67.73, I = 23

Structural model:
Lattice parameters (Å, degrees): 8.5224 8.5224 8.6206 90.00 90.00 90.00
Space group I-42d (No. 122)
Inequivalent atoms, fractional coordinates:
Nd 0.1173 0.7500 0.1250 (multiplicity 8)
Sm 0.0000 0.0000 0.5000 (multiplicity 4)
S 0.0739 0.6787 0.4505 (multiplicity 16)

----------

No. 1
Structure and simulated PXRD pattern of Pr3Ir (a crystal structure in Alexandria, relaxed with PBE; copper Kα).
Lines closer than 0.1° are merged.

Top 8 peaks for 10 to 90 degrees two-theta, in order of rising 2θ:
2theta, d_spacing, I_rel
28.97, 3.082, 38
29.98, 2.981, 100
30.96, 2.889, 100
32.39, 2.764, 75
32.93, 2.720, 75
34.72, 2.584, 40
36.17, 2.483, 52
55.06, 1.668, 48

Structure:
Cell: 7.4370 10.0084 6.6020 Å, 90.00 90.00 90.00°
Fractional coordinates of all 16 atoms:
Pr  0.0365  0.2500  0.1458
Pr  0.1747  0.0666  0.6713
Pr  0.1747  0.4334  0.6713
Pr  0.3253  0.5666  0.1713
Pr  0.3253  0.9334  0.1713
Pr  0.4635  0.7500  0.6458
Pr  0.5365  0.2500  0.3542
Pr  0.6747  0.0666  0.8287
Pr  0.6747  0.4334  0.8287
Pr  0.8253  0.5666  0.3287
Pr  0.8253  0.9334  0.3287
Pr  0.9635  0.7500  0.8542
Ir  0.1204  0.7500  0.4370
Ir  0.3796  0.2500  0.9370
Ir  0.6204  0.7500  0.0630
Ir  0.8796  0.2500  0.5630

---

No. 2
Structure and simulated PXRD pattern of Ba3In2Cu2Pd4 (a crystal structure in Alexandria, relaxed with PBE; copper Kα).
Lines closer than 0.1° are merged.

Top 8 peaks for 10 to 90 degrees two-theta, in order of rising 2θ:
2theta, d_spacing, I_rel
25.07, 3.551, 24
27.81, 3.208, 41
31.28, 2.860, 100
39.79, 2.265, 87
51.46, 1.776, 24
55.96, 1.643, 33
66.96, 1.397, 22
72.22, 1.308, 19

Structure:
Cell: 4.5305 4.5305 16.7080 Å, 90.00 90.00 120.00°
Fractional coordinates of all 11 atoms:
Ba  0.0000  0.0000  0.0000
Ba  0.0000  0.0000  0.2654
Ba  0.0000  0.0000  0.7346
In  0.3333  0.6667  0.5627
In  0.6667  0.3333  0.4373
Cu  0.3333  0.6667  0.1345
Cu  0.6667  0.3333  0.8655
Pd  0.3333  0.6667  0.3957
Pd  0.3333  0.6667  0.8657
Pd  0.6667  0.3333  0.1343
Pd  0.6667  0.3333  0.6043

---

No. 3
Structure and simulated PXRD pattern of Ac6Nd3Y2 (a crystal structure in Alexandria, relaxed with PBE; copper Kα).
Lines closer than 0.1° are merged.

Top 8 peaks for 10 to 90 degrees two-theta, in order of rising 2θ:
2theta, d_spacing, I_rel
28.47, 3.135, 98
28.54, 3.127, 97
33.03, 2.712, 100
47.34, 1.920, 37
47.48, 1.915, 37
56.16, 1.638, 30
56.29, 1.634, 51
78.82, 1.214, 14

Structure:
Cell: 6.6381 8.5616 8.5787 Å, 107.21 97.46 104.90°
>>>
### Back to the article

    1. Configure JIRA
    2. Configure VersionOne
    3. Configure Integration


Configure JIRA

This section describes how to modify your JIRA instance for use with the integration. Before you begin, you need decide if you want to the Assign or Label method to indicate the JIRA issues you want visible in VersionOne.

  1. Select or Create a JIRA User

    The integration requires a valid JIRA User ID and a Password in order to connect to JIRA. This user must have sufficient rights to accept work and modify issues (i.e. must be assigned to the Developer Role on the project). This user must also have rights to the actions being performed by the integration (for example, the user must have rights to close Issues).

    Although the integration does not require administrator access to run, there are some validation rules that can only be checked with a JIRA Administrator role. To help check first-time configuration, the recommended approach is to elevate the integration user to Administrator. After the integration has been verified (start the integration in the below steps) and before starting as a service (install as Windows Service in the below steps), reduce the JIRA access to the Developer Role. Then you can safely ignore log warnings about validation rules that require administrator access.

  2. Create Filters for Defects and Stories

    These filters must be available through the credentials used by the integration; hence, it is recommended that you create these filters using the same credentials to avoid the complexity of shared filters.

    The results of a JIRA filter are used to determine which JIRA Issues will be transferred to VersionOne. By using a JIRA filter, you can make the integration fit with your existing JIRA workflow and fields. The details of writing such a filter are beyond the scope of this document; however, the following are some simple examples.

    • Type and Status Filter

      The simplest Filter is to move all JIRA Issues of a certain type and state to VersionOne.

    • Assigned User Filter

      If only a subset of JIRA Issues of a type and status should be moved, then you may want to create a Filter that transfers all JIRA Issues that are associated with a specified user.

      This method is not supported when integrating with JIRA 5.2 or earlier.

    • Label Filter

      Another method of transferring only a subset of JIRA Issues of a type and status would be to create a Filter that transfers all JIRA Issues that are labeled with "versionone" or some other value you or your organization designates.

      Please note that the label value must already exist on an Issue in order to create this type of Filter.

    • Custom Field or Combination

      If the JIRA fields above would conflict with existing workflow, you may want to create a Custom Field and use it as part of the Filter.

  3. Create a Custom Field to hold the URL to the VersionOne Workitem.

    By default the integration puts the VersionOne Workitem information in the "Comments" section of the Issue. This information includes a URL to the VersionOne Workitem. You may optionally add another field to hold this data as necessary. To do this create the JIRA Custom Field and note the 'fieldId' value in the JIRA URL. This value is available to the JIRA Administrator.

Configure VersionOne

Skip this step if you are configuring a VersionOne Team Edition instance.

  1. Add "JIRA" to Source of the Global List Types:

  2. Determine where to store the JIRA ID

    The integration needs a text field in VersionOne to store the JIRA identifier; by default this is the Reference field. If you are already using this field, you'll need to create a custom text field in VersionOne and note the name.

Configure Integration

**Misplaced crystal structures**
# 1
Diffraction record for Th3BI3. The powder XRD pattern is computed, not measured: it uses a structure optimized by DFT (GGA-PBE) and Cu Kα (λ = 1.5418 Å).
Neutral-atom scattering factors, no anomalous dispersion.

Top 10 peaks for 5 to 70 degrees two-theta, by angle:
hkl 0 0 1, d 12.214, 2θ 7.24, I = 25; hkl 1 0 0, d 9.261, 2θ 9.55, I = 25; hkl 1 1 2, d 3.128, 2θ 28.53, I = 22; hkl 0 0 4, d 3.054, 2θ 29.25, I = 47; hkl 2 1 0, d 3.026, 2θ 29.52, I = 100; hkl 0 1 3, d 2.853, 2θ 31.36, I = 26; hkl 3 0 2, d 2.720, 2θ 32.93, I = 23; hkl 2 1 -4, d 2.172, 2θ 41.57, I = 26; hkl 2 1 4, d 2.127, 2θ 42.50, I = 26; hkl 5 1 2, d 1.609, 2θ 57.24, I = 23

Structural model:
Lattice parameters (Å, degrees): 9.266 3.998 12.221 90.00 91.84 90.00
Fractional positions:
Th (0.084, 0.250, 0.394)
Th (0.115, 0.250, 0.830)
Th (0.300, 0.750, 0.619)
Th (0.700, 0.250, 0.381)
Th (0.885, 0.750, 0.170)
Th (0.916, 0.750, 0.606)
B (0.115, 0.250, 0.613)
B (0.885, 0.750, 0.387)
I (0.150, 0.250, 0.118)
I (0.380, 0.750, 0.877)
I (0.389, 0.750, 0.361)
I (0.611, 0.250, 0.639)
I (0.620, 0.250, 0.123)
I (0.850, 0.750, 0.882)

---

# 2
Diffraction record for Ru2IBr. The powder XRD pattern is computed, not measured: it uses a structure optimized by DFT (GGA-PBE) and Cu Kα (λ = 1.5418 Å).
Neutral-atom scattering factors, no anomalous dispersion.

Top 10 peaks for 5 to 70 degrees two-theta, by angle:
hkl 0 0 1, d 8.479, 2θ 10.43, I = 100; hkl 0 1 1, d 5.787, 2θ 15.31, I = 15; hkl 0 2 1, d 3.114, 2θ 28.66, I = 14; hkl 1 1 0, d 3.059, 2θ 29.20, I = 20; hkl 0 1 -2, d 3.020, 2θ 29.58, I = 20; hkl 1 2 0, d 2.244, 2θ 40.20, I = 12; hkl 1 -2 1, d 2.238, 2θ 40.30, I = 13; hkl 1 2 3, d 2.198, 2θ 41.07, I = 11; hkl 1 2 -1, d 1.994, 2θ 45.49, I = 11; hkl 2 0 1, d 1.912, 2θ 47.57, I = 18

Structural model:
Lattice parameters (Å, degrees): 3.823 6.232 9.135 71.86 78.23 90.00
Fractional positions:
Ru (0.000, 0.000, 0.000)
Ru (0.098, 0.414, 0.799)
Ru (0.494, 0.285, 0.013)
Ru (0.598, 0.104, 0.798)
I (0.373, 0.921, 0.258)
I (0.962, 0.540, 0.077)
Br (0.208, 0.267, 0.572)
Br (0.648, 0.736, 0.695)

---

# 3
Diffraction record for AcMgIn2. The powder XRD pattern is computed, not measured: it uses a structure optimized by DFT (GGA-PBE) and Cu Kα (λ = 1.5418 Å).
Neutral-atom scattering factors, no anomalous dispersion.

Top 10 peaks for 5 to 70 degrees two-theta, by angle:
hkl 1 0 0, d 4.938, 2θ 17.96, I = 31; hkl 1 0 1, d 3.453, 2θ 25.80, I = 27; hkl 1 1 1, d 2.830, 2θ 31.61, I = 100; hkl 2 0 0, d 2.469, 2θ 36.39, I = 34; hkl 0 0 2, d 2.416, 2θ 37.22, I = 16; hkl 2 1 1, d 2.009, 2θ 45.14, I = 13; hkl 2 2 0, d 1.746, 2θ 52.40, I = 12; hkl 2 0 2, d 1.727, 2θ 53.03, I = 23; hkl 3 1 1, d 1.486, 2θ 62.50, I = 28; hkl 1 1 3, d 1.462, 2θ 63.63, I = 13

Structural model:
Lattice parameters (Å, degrees): 4.938 4.938 4.831 90.00 90.00 90.00
Fractional positions:
Ac (0.000, 0.000, 0.000)
Mg (0.500, 0.500, 0.000)
In (0.000, 0.500, 0.500)
In (0.500, 0.000, 0.500)

---

# 4

To configure the JIRA integration you need to run the ServiceHost configuration tool:

The following section describes how to configure the integration using the configuration tool.

  1. On the General tab specify your VersionOne connection details:

    The following table describes the fields on this tab:

    Field Description
    Authentication The API authentication method used by the integration to connect to the VersionOne server.
    Access Token The access token generated for the VersionOne member account that the integration will use.
    Server URL This is the URL to your VersionOne server.
    Username VersionOne user that will create Workitems (Defects and Stories), used only when not using an access token.
    Password Password for the specified VersionOne user, used only when not using an access token.

    If there's a proxy between this machine and the VersionOne instance, you'll also need to configure the following settings:

    Field Description
    Use Proxy For Connection Determines if the integration tries to connect through a Proxy.
    Proxy URL This is the URL to your Proxy Server.
    Proxy Username The username that will get you past this Proxy.
    Proxy Password The password for the Proxy Username.
    Proxy Domain Name of the Proxy Domain.
  2. Once the VersionOne parameters are specified, press the Validate button to continue. You should see a "VersionOne settings are valid" message appear before you can advance to the next step.
  3. In the Workitems section, specify the VersionOne field that will hold the JIRA ID.

    The following table describes the fields on this tab:

    Field Description
    Reference Field Name VersionOne field used to hold JIRA ID; by default this is the Reference field. If you created a custom field in VersionOne for this value, enter it here.
    Disabled Check this box to disable polling VersionOne for Workitem updates.
  4. On the JIRA tab specify your JIRA connection details and the Issue transfer behavior.
    1. Configure the JIRA connection
      Field Description
      Disabled Check this box if you want to disable polling JIRA for new Issues.
      JIRA URL Fully qualified URL to your JIRA instance.

      Don't forget /rest/api/latest

      Username Valid JIRA user. This user must be able to see and update Issues in the appropriate projects.
      Password Password for specified user.
    2. Click the Validate button to ensure the connection parameters are correct.  You should see a "Connection settings are valid..." message appear as confirmation.
    3. Configure VersionOne Workitem attributes
      Field Description
      Source Select the VersionOne source value to use for JIRA.

      VersionOne Team Edition contains a Source value of "External System".

      URL Template Template for URL to access specific Issue in JIRA. /browse/#key# is replaced with the JIRA Issue ID. This field is used to create links from VersionOne to JIRA.
      URL Title This field is the Link title in VersionOne.
    4. Configure Poll Interval
      Field Description
      Poll Interval Determines how frequently the integration polls JIRA looking for issues in minutes.
    5. Configure Find JIRA Issues
      Field Description
      Create Defect Filter ID JIRA identifier for the filter used to determine which issues are pushed to VersionOne as Defects. This field cannot be empty.
      Create Story Filter ID JIRA identifier for the filter used to determine which issues are pushed to VersionOne as Stories. This field cannot be empty.
    6. Configure Update JIRA Issue
      Field Description
      Link to VersionOne Field ID Custom Field Id in JIRA used to hold VersionOne URL. If blank, the URL will be created in the Comments field in JIRA.
      Create Field ID Name of the JIRA Custom Field to update after a Workitem is created in VersionOne. If left blank, the JIRA Issue Status field will be updated.
      Create Field Value Value to set in "Create Field ID" after a Workitem is created in VersionOne. If left blank, the JIRA Issue Status field will be updated to IN PROGRESS.
      Close Field ID Name of the JIRA Custom Field to update after a VersionOne Workitem is closed. If left blank, the JIRA Issue Status field will be updated.
      Close Field Value Value to set in "Closed Field ID" after a the VersionOne Worktiem is closed. If left blank, the JIRA Issue Status field will be updated to RESOLVED.
      Assignee State Changed The name of the JIRA user to assign to the Issue once it's closed in VersionOne. A value of -1 will cause JIRA to set the assignee based on workflow rules.
      Progress Workflow Created The JIRA Workflow Transition ID to set once it's created in VersionOne.
      Progress Workflow Closed The JIRA Workflow Transition ID to set once it's closed in VersionOne.
  5. Map your Projects

    Project Mapping allows you to specify where Workitems are created in VersionOne. The algorithm for selecting a project is as follows: First, the integration looks for the JIRA Project Name in the map. If it exists, the Workitem is created in the corresponding VersionOne Project. If the JIRA Project Name is not found, the integration attempts to find a VersionOne Project with the same name. If found, the integration creates the Workitem in the VersionOne Project with a matching name. If it cannot find a VersionOne Project with a name that matches the JIRA Project, the integration will create the Workitem in the root level node of the VersionOne Project Tree or in the first project in the list if there are multiple top level nodes.

    To add a Project Mapping you need to do the following:

    1. Click on the Project and Priority Mappings tab
    2. In the Project Mapping grid, select a VersionOne Project value from the dropdown list.
    3. Supply the corresponding JIRA Project name.
    4. To remove a mapping: Select the desired row.
    5. Click the Delete selected row button
  6. Map your Priority Values

    Priority mapping allows you to configure how the VersionOne Workitem priority value is set based on the JIRA Priority value. The algorithm for mapping is simple, if the JIRA Priority value is in the mapping, the VersionOne Workitem priority value is set to the mapped value. If the JIRA Priority value is not found, the VersionOne Worktiem priority value is not set.

    To add a Priority Mapping you need to do the following:

    1. Click on the Project and Priority Mappings tab.
    2. In the Priority Mappings grid, select a VersionOne Priority value from the dropdown.
    3. Select the corresponding JIRA Priority value. Note that one VersionOne priority value may map to more than one JIRA priority value.
    4. To remove a mapping: Select the desired row.
    5. Click the Delete selected row button.
  7. Save your changes and exit the configuration tool.

Run Integration

  1. Start the integration

    Navigate to your installation folder and double-click VersionOne.ServiceHost.exe.  A command window will open. If you have configured your system properly, you should see several [Info] messages followed by a [Startup] message.

  2. Test the integration

    To ensure the integration is working properly, perform the following steps:

    1. Create an Issue in JIRA.
    2. Set the appropriate criteria based on your specified filter in order for the Issue to move to VersionOne.
    3. Verify that the Issue appears in VersionOne as either a Defect or Story (depending on the Issue Type you selected in JIRA and specified in your Filter).
    4. Verify that the JIRA Issue Status has been updated to IN PROGRESS.
    5. Close the Workitem in VersionOne.
    6. Verify that the JIRA Issue Status has been updated to RESOLVED.
    7. Shut down the integration ServiceHost by pressing "Q" in the console window.
  3. Install as a Windows Service

    Run the following command from the console window:
    VersionOne.ServiceHost.exe --install

    This command installs the integration as a Windows service that will will run under the NT AUTHORITY\Local Service account. The Local Service account must be given access privileges to the directory where the the integration executable was installed so it can store its state and write to log files. Follow the steps below to change the security on the installation directory:

    1. Right click the installation folder from Windows Explorer.
    2. Select "Properties".
    3. Select the "Security" tab.
    4. Click the "Add" button.
    5. Enter "Local Service" and click "OK".
    6. Click the "Allow" checkbox for the "Full Control" row .
    7. Click "OK" to save the changes.

